### Input
┌──
Record 1
The following is a computed X-ray diffraction stick pattern of NaSb2Pt4. It was derived from a DFT-relaxed cell (GGA-PBE, Alexandria), using λ = 1.5418 Å (Cu Kα).
No peak broadening, texture or thermal motion is included.

Atomic structure:
Unit cell a=8.1464 b=8.1464 c=4.2003 alpha=90.00 beta=90.00 gamma=90.00
Positions (direct):
Na (0.0000, 0.0000, 0.0000)
Na (0.5000, 0.5000, 0.5000)
Sb (0.2228, 0.2228, 0.5000)
Sb (0.2772, 0.7228, 0.0000)
Sb (0.7228, 0.2772, 0.0000)
Sb (0.7772, 0.7772, 0.5000)
Pt (0.0832, 0.6607, 0.5000)
Pt (0.1607, 0.4168, 0.0000)
Pt (0.3393, 0.9168, 0.5000)
Pt (0.4168, 0.1607, 0.0000)
Pt (0.5832, 0.8393, 0.0000)
Pt (0.6607, 0.0832, 0.5000)
Pt (0.8393, 0.5832, 0.0000)
Pt (0.9168, 0.3393, 0.5000)

Most intense lines, 5° ≤ 2θ ≤ 70°, in order of rising 2θ:
d 5.760, intensity 94.8
d 2.752, intensity 59.0
d 2.375, intensity 80.0
d 2.196, intensity 100.0
d 2.100, intensity 38.2
d 1.975, intensity 52.7

=====

Record 2
The following is a computed X-ray diffraction stick pattern of Na2Sb3Pt2. It was derived from a DFT-relaxed cell (GGA-PBE, Alexandria), using λ = 1.5418 Å (Cu Kα).
No peak broadening, texture or thermal motion is included.

Atomic structure:
Unit cell a=11.1423 b=4.2511 c=7.9548 alpha=90.00 beta=115.66 gamma=90.00
Positions (direct):
Na (0.1647, 0.0000, 0.3170)
Na (0.3353, 0.5000, 0.6830)
Na (0.6647, 0.5000, 0.3170)
Na (0.8353, 0.0000, 0.6830)
Sb (0.0000, 0.5000, 0.5000)
Sb (0.1236, 0.5000, 0.9599)
Sb (0.3764, 0.0000, 0.0401)
Sb (0.5000, 0.0000, 0.5000)
Sb (0.6236, 0.0000, 0.9599)
Sb (0.8764, 0.5000, 0.0401)
Pt (0.1305, 0.0000, 0.7537)
Pt (0.3695, 0.5000, 0.2463)
Pt (0.6305, 0.5000, 0.7537)
Pt (0.8695, 0.0000, 0.2463)

Most intense lines, 5° ≤ 2θ ≤ 70°, in order of rising 2θ:
d 5.341, intensity 100.0
d 2.899, intensity 45.5
d 2.580, intensity 23.0
d 2.446, intensity 37.5
d 2.175, intensity 25.7
d 2.126, intensity 22.8

=====

Record 3
The following is a computed X-ray diffraction stick pattern of NaPtSe. It was derived from a DFT-relaxed cell (GGA-PBE, Alexandria), using λ = 1.5418 Å (Cu Kα).
No peak broadening, texture or thermal motion is included.

Atomic structure:
Unit cell a=5.1769 b=3.7799 c=7.3563 alpha=90.00 beta=101.80 gamma=90.00
Positions (direct):
Na (0.1337, 0.0000, 0.2743)
Na (0.8663, 0.0000, 0.7257)
Pt (0.5000, 0.0000, 0.0000)
Pt (0.5000, 0.5000, 0.5000)
Se (0.3393, 0.5000, 0.7838)
Se (0.6607, 0.5000, 0.2162)

Most intense lines, 5° ≤ 2θ ≤ 70°, in order of rising 2θ:
d 5.067, intensity 100.0
d 3.347, intensity 45.3
d 3.267, intensity 29.8
d 2.678, intensity 62.9
d 2.026, intensity 24.3
d 2.005, intensity 29.5

=====

Record 4
The following is a computed X-ray diffraction stick pattern of NaPt4Se8. It was derived from a DFT-relaxed cell (GGA-PBE, Alexandria), using λ = 1.5418 Å (Cu Kα).
No peak broadening, texture or thermal motion is included.

Atomic structure:
Unit cell a=8.3202 b=8.3202 c=8.3202 alpha=53.90 beta=53.90 gamma=53.90
Positions (direct):
Na (0.0000, 0.0000, 0.0000)
Pt (0.0000, 0.0000, 0.5000)
Pt (0.0000, 0.5000, 0.0000)
Pt (0.5000, 0.0000, 0.0000)
Pt (0.5000, 0.5000, 0.5000)
Se (0.2231, 0.7310, 0.7310)
Se (0.2283, 0.2283, 0.2283)
Se (0.2690, 0.2690, 0.7769)
Se (0.2690, 0.7769, 0.2690)
Se (0.7310, 0.2231, 0.7310)
Se (0.7310, 0.7310, 0.2231)
Se (0.7717, 0.7717, 0.7717)
Se (0.7769, 0.2690, 0.2690)

Most intense lines, 5° ≤ 2θ ≤ 70°, in order of rising 2θ:
d 7.090, intensity 100.0
d 3.228, intensity 20.5
d 2.783, intensity 58.2
d 2.225, intensity 27.5
d 1.885, intensity 21.3
d 1.822, intensity 18.8

=====
└──

### Job
The reader should duplicate everything earlier on word for word.

### Written answer
Record 1
The following is a computed X-ray diffraction stick pattern of NaSb2Pt4. It was derived from a DFT-relaxed cell (GGA-PBE, Alexandria), using λ = 1.5418 Å (Cu Kα).
No peak broadening, texture or thermal motion is included.

Atomic structure:
Unit cell a=8.1464 b=8.1464 c=4.2003 alpha=90.00 beta=90.00 gamma=90.00
Positions (direct):
Na (0.0000, 0.0000, 0.0000)
Na (0.5000, 0.5000, 0.5000)
Sb (0.2228, 0.2228, 0.5000)
Sb (0.2772, 0.7228, 0.0000)
Sb (0.7228, 0.2772, 0.0000)
Sb (0.7772, 0.7772, 0.5000)
Pt (0.0832, 0.6607, 0.5000)
Pt (0.1607, 0.4168, 0.0000)
Pt (0.3393, 0.9168, 0.5000)
Pt (0.4168, 0.1607, 0.0000)
Pt (0.5832, 0.8393, 0.0000)
Pt (0.6607, 0.0832, 0.5000)
Pt (0.8393, 0.5832, 0.0000)
Pt (0.9168, 0.3393, 0.5000)

Most intense lines, 5° ≤ 2θ ≤ 70°, in order of rising 2θ:
d 5.760, intensity 94.8
d 2.752, intensity 59.0
d 2.375, intensity 80.0
d 2.196, intensity 100.0
d 2.100, intensity 38.2
d 1.975, intensity 52.7

=====

Record 2
The following is a computed X-ray diffraction stick pattern of Na2Sb3Pt2. It was derived from a DFT-relaxed cell (GGA-PBE, Alexandria), using λ = 1.5418 Å (Cu Kα).
No peak broadening, texture or thermal motion is included.

Atomic structure:
Unit cell a=11.1423 b=4.2511 c=7.9548 alpha=90.00 beta=115.66 gamma=90.00
Positions (direct):
Na (0.1647, 0.0000, 0.3170)
Na (0.3353, 0.5000, 0.6830)
Na (0.6647, 0.5000, 0.3170)
Na (0.8353, 0.0000, 0.6830)
Sb (0.0000, 0.5000, 0.5000)
Sb (0.1236, 0.5000, 0.9599)
Sb (0.3764, 0.0000, 0.0401)
Sb (0.5000, 0.0000, 0.5000)
Sb (0.6236, 0.0000, 0.9599)
Sb (0.8764, 0.5000, 0.0401)
Pt (0.1305, 0.0000, 0.7537)
Pt (0.3695, 0.5000, 0.2463)
Pt (0.6305, 0.5000, 0.7537)
Pt (0.8695, 0.0000, 0.2463)

Most intense lines, 5° ≤ 2θ ≤ 70°, in order of rising 2θ:
d 5.341, intensity 100.0
d 2.899, intensity 45.5
d 2.580, intensity 23.0
d 2.446, intensity 37.5
d 2.175, intensity 25.7
d 2.126, intensity 22.8

=====

Record 3
The following is a computed X-ray diffraction stick pattern of NaPtSe. It was derived from a DFT-relaxed cell (GGA-PBE, Alexandria), using λ = 1.5418 Å (Cu Kα).
No peak broadening, texture or thermal motion is included.

Atomic structure:
Unit cell a=5.1769 b=3.7799 c=7.3563 alpha=90.00 beta=101.80 gamma=90.00
Positions (direct):
Na (0.1337, 0.0000, 0.2743)
Na (0.8663, 0.0000, 0.7257)
Pt (0.5000, 0.0000, 0.0000)
Pt (0.5000, 0.5000, 0.5000)
Se (0.3393, 0.5000, 0.7838)
Se (0.6607, 0.5000, 0.2162)

Most intense lines, 5° ≤ 2θ ≤ 70°, in order of rising 2θ:
d 5.067, intensity 100.0
d 3.347, intensity 45.3
d 3.267, intensity 29.8
d 2.678, intensity 62.9
d 2.026, intensity 24.3
d 2.005, intensity 29.5

=====

Record 4
The following is a computed X-ray diffraction stick pattern of NaPt4Se8. It was derived from a DFT-relaxed cell (GGA-PBE, Alexandria), using λ = 1.5418 Å (Cu Kα).
No peak broadening, texture or thermal motion is included.

Atomic structure:
Unit cell a=8.3202 b=8.3202 c=8.3202 alpha=53.90 beta=53.90 gamma=53.90
Positions (direct):
Na (0.0000, 0.0000, 0.0000)
Pt (0.0000, 0.0000, 0.5000)
Pt (0.0000, 0.5000, 0.0000)
Pt (0.5000, 0.0000, 0.0000)
Pt (0.5000, 0.5000, 0.5000)
Se (0.2231, 0.7310, 0.7310)
Se (0.2283, 0.2283, 0.2283)
Se (0.2690, 0.2690, 0.7769)
Se (0.2690, 0.7769, 0.2690)
Se (0.7310, 0.2231, 0.7310)
Se (0.7310, 0.7310, 0.2231)
Se (0.7717, 0.7717, 0.7717)
Se (0.7769, 0.2690, 0.2690)

Most intense lines, 5° ≤ 2θ ≤ 70°, in order of rising 2θ:
d 7.090, intensity 100.0
d 3.228, intensity 20.5
d 2.783, intensity 58.2
d 2.225, intensity 27.5
d 1.885, intensity 21.3
d 1.822, intensity 18.8

=====